14 Tips for Recording Video Calls and Interviews

Ever since Corona (at the latest), meetings have been held more and more frequently or even exclusively by video conferencing tools, e.g. via Teams, Zoom or Skype. One side effect: With the increasing number of video calls, the shyness of many people to conduct interviews in the form of recorded video calls has disappeared. In the process, you gain some experience. Here are some tips for successful video calls that are presentable and suitable for use in corporate communications.

Before recording video calls, it helps to bear in mind a few tips.
(Photo: Lucas Alexander on Unsplash)

  1. Very important, and therefore here at point 1: The lighting must be right, and it must come from the front! If you want to do a lot of recordings, it may be advisable to purchase a external light source, like a ring light. And the importance of good lighting should definitely be recommended to the person you are talking to as well.  
  2. Any background light should be switched off, and windows behind you should be darkened.
  3. Your background should have a neutrally-colored surface, e.g. a white sheet, so that a branded background image can be faded in. However, there are other more professional solutions, such as a green background that you can attach to the back of an office chair. We can’t say (yet) whether this product is any good. We haven’t tried it out yet. But it is a funny idea.
  4. Do not sit TOO close to the camera. Make-up incl. rouge can’t hurt.  
  5. Wear a top in warm colors. Nothing patterned. 
  6. Prescribe a text for the introduction (greeting, occasion, introduce the interview participant by name and function, ask beforehand how his name or, if applicable, the product or company name is pronounced…) and practice this text LOUD several times. 
**Here the article breaks off for calculated crystals:**
┌──
Record 1
For SrMg14Ni, the PBE geometry in the Materials Project gives the theoretical PXRD pattern in this record (CuKα).
Kinematic intensities with the Lorentz-polarization factor, no thermal factor.

Cell and atoms:
a b c (Å): 6.446 6.446 10.343
angles (deg): 90.00 90.00 120.00
Atoms (fractional coordinates):
Sr 0.000 0.000 0.000
Mg 0.012 0.506 0.000
Mg 0.162 0.324 0.276
Mg 0.162 0.324 0.724
Mg 0.162 0.838 0.276
Mg 0.162 0.838 0.724
Mg 0.494 0.506 0.000
Mg 0.494 0.988 0.000
Mg 0.505 0.011 0.500
Mg 0.505 0.495 0.500
Mg 0.667 0.333 0.239
Mg 0.667 0.333 0.761
Mg 0.676 0.838 0.276
Mg 0.676 0.838 0.724
Mg 0.989 0.495 0.500
Ni 0.000 0.000 0.500

Main lines, sorted by position (5 to 70 degrees two-theta):
2θ = 15.9°, intensity 22.9
2θ = 23.4°, intensity 15.7
2θ = 32.1°, intensity 27.3
2θ = 34.7°, intensity 23.1
2θ = 36.6°, intensity 100.0
2θ = 48.0°, intensity 16.5
2θ = 57.2°, intensity 17.5
2θ = 63.4°, intensity 14.9
2θ = 68.6°, intensity 17.2
2θ = 69.8°, intensity 13.6



Record 2
For Tb9Mg5Ni4, the PBE geometry in the Materials Project gives the theoretical PXRD pattern in this record (CuKα).
Kinematic intensities with the Lorentz-polarization factor, no thermal factor.

Cell and atoms:
a b c (Å): 10.940 10.940 3.648
angles (deg): 90.00 90.00 90.00
Atoms (fractional coordinates):
Tb 0.000 0.000 0.000
Tb 0.000 0.276 0.500
Tb 0.000 0.724 0.500
Tb 0.276 0.000 0.500
Tb 0.324 0.324 0.500
Tb 0.324 0.676 0.500
Tb 0.676 0.324 0.500
Tb 0.676 0.676 0.500
Tb 0.724 0.000 0.500
Mg 0.142 0.500 0.000
Mg 0.500 0.142 0.000
Mg 0.500 0.500 0.000
Mg 0.500 0.858 0.000
Mg 0.858 0.500 0.000
Ni 0.190 0.190 0.000
Ni 0.190 0.810 0.000
Ni 0.810 0.190 0.000
Ni 0.810 0.810 0.000

Main lines, sorted by position (5 to 70 degrees two-theta):
2θ = 8.1°, intensity 19.4
2θ = 16.2°, intensity 13.3
2θ = 24.4°, intensity 48.0
2θ = 29.4°, intensity 12.8
2θ = 33.8°, intensity 29.1
2θ = 34.8°, intensity 100.0
2θ = 38.6°, intensity 35.9
2θ = 50.0°, intensity 20.2
2θ = 59.1°, intensity 16.3
2θ = 62.4°, intensity 19.1



Record 3
For Tb4MgNi, the PBE geometry in the Materials Project gives the theoretical PXRD pattern in this record (CuKα).
Kinematic intensities with the Lorentz-polarization factor, no thermal factor.

Cell and atoms:
a b c (Å): 9.647 9.647 9.647
angles (deg): 60.00 60.00 60.00
Atoms (fractional coordinates):
Tb 0.184 0.184 0.816
Tb 0.184 0.816 0.184
Tb 0.184 0.816 0.816
Tb 0.404 0.404 0.404
Tb 0.404 0.404 0.788
└──
**End of the calculated crystals:**
  7. Formulate the questions and practice them OUT LOUD.
  8. Send the questions in advance to the interview participant for preparation. 
  9. The interview participant of your video call should also be well lit and have an appealing background image. Point this out to them BEFOREhand. They might want to prepare a picture of the company headquarters incl. logo or similar first.  
  10. Important: If the video call takes place with an external interview partner who does not work in the same company, check if the change background image also works for them. We have had calls where it does not work for all interview participants. For more instructions, here’s how to fade in a background image in Zoom.
  11. Ask the questions in an accentuated way. If you speak too much in a row without pausing for breath, there won’t be any good places to make a cut. In a nutshell: ask the questions in such a way that they can be easily edited afterwards.
  12. Make sure that the recording is running and then give the system time to convert the video. Unless you’re feeling bold, don’t click somewhere else while the conversion process is running. It can go wrong and you will be left empty-handed.
  13. If you really mess up at one point: Don’t leave it as it is, but start again and redo it immediately. You can cut it out later. If you don’t redo it immediately, you’ll be annoyed later because you won’t be able to change it anymore. This also applies to mistakes made by the interviewer or if the sound is poor or similar. Do not ignore issues, but address them IMMEDIATELY. Small slips of the tongue, on the other hand, are usually not so bad.
  14. And last but not least: After converting the files, i.e. video, audio, etc., upload them to a Teamplace. Then invite all participants to this Teamplace so that they can take a look at the video and express criticism. Here in the Teamplace, the participants can leave comments and in the Activity Stream you can see who has logged in to watch the video.